The decision

Upper Tribunal
(Immigration and Asylum Chamber) Appeal Number: PA/03768/2017


Heard at Field House
Decision & Reasons Promulgated
On 15 November 2017
On 20 November 2017







**Here the text breaks off for materials data:**
~~~
Theoretical X-ray powder pattern of K2BaTc2N4 for copper Kα, from a DFT-relaxed cell (PBE, Alexandria).
Neutral-atom scattering factors, no anomalous dispersion.

Main lines, by intensity (10° ≤ 2θ ≤ 90°):
- 2θ = 13.53°, I = 100
- 2θ = 30.68°, I = 46
- 2θ = 33.15°, I = 31
- 2θ = 27.26°, I = 28
- 2θ = 31.54°, I = 25
- 2θ = 44.84°, I = 21
- 2θ = 28.26°, I = 16
- 2θ = 35.68°, I = 13
- 2θ = 35.15°, I = 12
- 2θ = 37.91°, I = 11

```
data_K2BaTc2N4
_chemical_formula_sum 'K4 Ba2 Tc4 N8'
_space_group_name_H-M_alt 'C 1 2/m 1'
_space_group_IT_number 12
_space_group_name_Hall '-C 2y'
_cell_length_a 13.165
_cell_length_b 3.608
_cell_length_c 9.570
_cell_angle_alpha 90.00
_cell_angle_beta 126.85
_cell_angle_gamma 90.00
loop_
_atom_site_label
_atom_site_type_symbol
_atom_site_fract_x
_atom_site_fract_y
_atom_site_fract_z
K1 K 0.136 0.000 0.218
Ba1 Ba 0.000 0.000 0.500
Tc1 Tc 0.162 0.500 0.885
N1 N 0.006 0.500 0.279
N2 N 0.222 0.000 0.847
```

* * * * *

# Sr2IO5
Simulated powder diffractogram, Cu Kα (weighted mean of Kα1 and Kα2). Input: a cell relaxed with GGA-PBE.

Cell and atoms:
a b c (Å): 10.947 4.872 6.854
angles (deg): 90.00 124.08 90.00
Atoms (fractional coordinates):
Sr: 0.210 0.000 0.245
Sr: 0.290 0.500 0.755
Sr: 0.710 0.500 0.245
Sr: 0.790 0.000 0.755
I: 0.000 0.021 0.500
I: 0.500 0.521 0.500
O: 0.000 0.403 0.500
O: 0.042 0.993 0.817
O: 0.214 0.000 0.629
O: 0.286 0.500 0.371
O: 0.458 0.493 0.183
O: 0.500 0.903 0.500
O: 0.542 0.493 0.817
O: 0.714 0.500 0.629
O: 0.786 0.000 0.371
O: 0.958 0.993 0.183

Principal peaks in the range 2θ from 10° to 90°, most intense first:
- 20.70 deg, intensity 100
- 29.23 deg, intensity 62
- 26.08 deg, intensity 59
- 15.61 deg, intensity 55
- 30.62 deg, intensity 46
- 36.90 deg, intensity 39
- 33.35 deg, intensity 35
- 47.07 deg, intensity 33
- 45.74 deg, intensity 23
- 58.90 deg, intensity 21

* * * * *

Computed PXRD pattern
Compound: InAg2Te
Radiation: Cu Kα, 1.54184 Å
Structure: the GGA-PBE geometry in Alexandria
Lines closer than 0.1° are merged.

Structural model:
a b c (Å): 5.9129 5.9129 3.1408
angles (deg): 104.89 104.89 104.81
Fractional positions:
In1 0.0000 0.0000 0.0000
Ag1 0.0000 0.5000 0.0000
Ag2 0.5000 0.0000 0.0000
Te1 0.5000 0.5000 0.0000

Peak list (10 most intense, 10° ≤ 2θ ≤ 90°, most intense first)
2θ 33.40, intensity 1000; 2θ 37.27, intensity 738; 2θ 31.40, intensity 590; 2θ 38.43, intensity 339; 2θ 50.44, intensity 302; 2θ 54.48, intensity 237; 2θ 62.37, intensity 155; 2θ 51.38, intensity 143; 2θ 65.95, intensity 131; 2θ 66.32, intensity 129


Computed PXRD pattern
Compound: NdHo5Ir6
Radiation: Cu Kα, 1.54184 Å
Structure: the GGA-PBE geometry in Alexandria
Lines closer than 0.1° are merged.

Structural model:
a b c (Å): 7.8079 7.8079 6.6507
angles (deg): 90.00 90.00 143.14
Fractional positions:
Nd1 0.0000 0.0000 0.0000
Ho1 0.0000 0.0000 0.5000
Ho2 0.3324 0.6676 0.0000
Ho3 0.3333 0.6667 0.5000
Ho4 0.6667 0.3333 0.5000
Ho5 0.6676 0.3324 0.0000
Ir1 0.1695 0.8305 0.2527
Ir2 0.1695 0.8305 0.7473
~~~

For the Appellant: Mr Farhat, legal representative
For the Respondent: Mr Clarke, Home Office Presenting Officer

1. The appellant is a citizen of the Democratic Republic of Congo who appealed the respondent's decision to refuse her asylum and human rights claims. The appellant withdrew her appeal on asylum grounds at the First-tier Tribunal hearing; her appeal on human rights grounds was dismissed by Judge of the First-tier Tribunal Wright ("the FTTJ") in a decision promulgated on 2 June 2017.
2. No anonymity direction was made in the First-tier Tribunal and no request was made for such a direction in this tribunal. None is required.
3. Permission to appeal was granted in bare terms by First-tier Tribunal Judge Shimmin on 20 September 2017.
4. Thus the matter has come before me.
5. Mr Farhat, for the appellant, adopted the grounds of appeal which can be summarised thus. The only issue in dispute in the appeal was the validity of the marriage certificate of the appellant and sponsor, her husband, who was a DRC refugee; he could not return to the DRC and there were therefore insurmountable obstacles pursuant to EX.1 of Appendix FM. He submitted the FTTJ's reasoning on the validity of the marriage certificate was inadequate; the FTTJ's reference to reliance on Tanveer Ahmed (Starred) [2002] UKIAT 00439 had been misplaced in a human rights appeal. The FTTJ had erroneously followed the country of origin guidance (Landinfo and Danish Immigration Service FFM of January 2007), as if it were black letter law without taking into account the appellant's explanations for the divergence from that guidance. The original certificate had been produced and was sufficient evidence of the marriage having been issued by the appropriate authority. The FTTJ had failed to take into account the witness, documentary and DVD evidence when assessing the validity of the marriage. The FTTJ had misapplied the guidance, treating it as prescriptive.
6. Mr Clarke did not agree that the sole issue before the FTTJ was the validity of the marriage certificate; he submitted there was also an issue as to the appellant's suitability pursuant to the suitability criteria in Appendix FM: she had used a false passport to enter the UK. That said both he and Mr Farhat agreed that the FTTJ had failed to make any finding on the issue of suitability pursuant to Appendix FM. That was not a material issue given the appeal had been dismissed. Mr Clarke submitted the FTTJ had properly adhered to the guidance in Tanveer Ahmed. As regards the country of origin guidance to which the FTTJ had referred in considering the reliability of the marriage certificate, this was guidance which the appellant had adduced. The FTTJ had identified discrepancies as between the guidance and the witness evidence such as to undermine the weight to be given to the marriage certificate. He was entitled to find at [39] the marriage had not taken place in accordance with DRC law, the burden of proof being on the appellant. There was no legislation or objective material to rebut the guidance.
7. In reply, Mr Farhat submitted that Tanveer Ahmed was guidance for the proposition that the authenticity of documents generally fell in line with general credibility findings. This case needed assessment in a wider context. The appellant had not given evidence on which her credibility could be assessed, having withdrawn her asylum appeal; she had merely given evidence about the marriage procedure. It was accepted that the appellant's late withdrawal of her appeal on asylum grounds was a relevant factor in the assessment of her credibility. However, the marriage had occurred before the asylum claim. This was also the case with regard to her use of a false passport (a matter which was only taken into account in the assessment of Article 8 outside the Rules). The Country of Origin guidance had only been produced by the appellant to rebut the statement in the refusal letter that the respondent did not recognise proxy marriages. (In the event, the respondent's representative had conceded as much at the hearing before the FTTJ).

8. The Immigration Appeal Tribunal (as it then was) set out at paragraph 38 the principles in Tanveer Ahmed. This includes the following:
"1. In asylum and human rights cases it is for an individual claimant to show that a document on which he seeks to rely can be relied on.
2. The decision maker should consider whether a document is one on which reliance should properly be placed after looking at all the evidence in the round.
3. Only very rarely will there be the need to make an allegation of forgery, or evidence strong enough to support it. The allegation should not be made without such evidence. Failure to establish the allegation on the balance of probabilities to the higher standard does not show that a document is reliable. The decision maker still need to apply principles 1 and 2."
9. The Court stated at [31] that some documents
"are "genuine" to the extent that they emanate from a proper source, in the proper form, on the proper paper, with the proper seals, but the information they contain is wholly or partially untrue. Examples are birth, death and marriage certificates from certain countries, which can be obtained from the proper source for a "fee", but which contain information which is wholly or partially untrue. The permutations of truth, untruth, validity and "genuineness" are enormous. At its simplest we need to differentiate between form and content; that is whether a document is properly issued by the purported author and whether the contents are true. They are separate questions. It is a dangerous oversimplification merely to ask whether a document is "forged" or even "not genuine". It is necessary to shake off any preconception that official looking documents are genuine, based on experience of documents in the United Kingdom, and to approach them with an open mind".
10. Further, at [33]:
"it is for the individual claimant to show that a document is reliable in the same way as any other piece of evidence which he puts forward and on which he seeks to rely".
11. The FTTJ cites the appropriate burden and standard of proof at [32] of the decision. He refers at [38] to having considered the reliability of the evidence in the round pursuant to Tanveer Ahmed. While the appeal was no longer being pursued on asylum grounds, this was an appeal on human rights grounds. The principles in Tanveer Ahmed for the assessment of documentary evidence applied. It was submitted before me that the appellant had not given evidence on which a full assessment of her credibility could be made. That was not the case: she knew the validity of her marriage certificate was a crucial issue in the appeal and she had the opportunity to give evidence on how it was acquired. Indeed she gave such evidence seeking to explain the discrepancies as between the background material regarding proxy marriages in the DRC and her own claimed circumstances.
12. The FTTJ was referred to the guidance in Cudjoe (Proxy marriages: burden of proof) [2016] UKUT 00180 (IAC) and had regard to that guidance. In particular he took into account, in his assessment of the evidence, the second part of the headnote to the effect that
"the means of proving that a proxy marriage was contracted according to the laws of the country in which it took place is not limited to the production of a marriage certificate, as it recognised in Kareem (Proxy marriages - EU law) [2014] UKUT 00024 (IAC)"
I do not accept the submission for the appellant that the FTTJ should have accepted the original marriage certificate, at face value, as being evidence of a valid marriage. It would have been an error of law for the FTTJ to have done so. He appropriately considered the content of the marriage certificate in the context of the background material (adduced by the appellant herself, namely the Country of Origin (COI) report), the witness evidence and the documentary evidence. I do not accept the FTTJ should have taken the COI Report into account only to the limited extent for which it was adduced at the hearing. It was of relevance to the FTTJ's assessment of the reliability of the marriage certificate and the FTTJ was entitled to have regard to it, there being no challenge to its content. He did not treat that guidance as prescriptive: for example, he took into account the background material was dated. He identified various internal discrepancies and inconsistencies in the appellant's own evidence which called into question her credibility [36]. He identified various discrepancies as between the evidence of the appellant, the content of the marriage certificate and the guidance. In the absence of alternative background material to explain the discrepancies as between the guidance and the content of the marriage certificate, given his concerns about the credibility of the witness evidence, the FTTJ was entitled to find the evidence was insufficient to demonstrate the marriage certificate was a valid one. His findings cannot be faulted. They are sustainable on the evidence before him.
13. For these reasons, there is no error of law in the FTTJ's decision. The grounds of appeal to this tribunal disclose no more than a disagreement with the outcome.
14. The making of the decision of the First-tier Tribunal did not involve the making of a material error on a point of law.
15. I do not set aside the decision.
16. This appeal is dismissed.

Signed A M Black Dated 15 November 2017
Deputy Upper Tribunal Judge A M Black